Not being on IRC does not hinder a clan when being checked, so your comments on "IRC control" would be kind of unfounded.
[Between two parts of the piece: crystal structures]
Record 1
The following is a DFT calculation (PBE) of a geometry-optimized Ta2CN structure.

As for the formation enthalpy at 0 K: -0.82 eV/atom. The value obtained for the excess energy over the best structure of this formula in the dataset is 0.018 eV/atom.

a b c (Å): 3.1468 3.1468 4.4577
angles (deg): 90.00 90.00 90.00
Space group P4/mmm (No. 123)
Unique sites:
Ta 0.0000 0.0000 0.0000 [1 per cell]
Ta 0.5000 0.5000 0.5000 [1 per cell]
C 0.0000 0.0000 0.5000 [1 per cell]
N 0.5000 0.5000 0.0000 [1 per cell]



Record 2
The following is a DFT calculation (PBE) of a geometry-optimized TaTiCN structure.

As for the formation enthalpy at 0 K: -1.16 eV/atom.

a b c (Å): 3.0932 3.0932 15.2543
angles (deg): 90.00 90.00 120.00
Space group R3m (No. 160, hexagonal axes)
Unique sites:
Ta 0.0000 0.0000 0.0000 [3 per cell]
Ti 0.0000 0.0000 0.4925 [3 per cell]
C 0.0000 0.0000 0.7490 [3 per cell]
N 0.0000 0.0000 0.2462 [3 per cell]



Record 3
The following is a DFT calculation (PBE) of a geometry-optimized TaVCN structure.

As for the formation enthalpy at 0 K: -0.83 eV/atom.

a b c (Å): 3.0698 3.0698 14.9287
angles (deg): 90.00 90.00 120.00
Space group R3m (No. 160, hexagonal axes)
Unique sites:
Ta 0.0000 0.0000 0.0000 [3 per cell]
V 0.0000 0.0000 0.5132 [3 per cell]
C 0.0000 0.0000 0.2487 [3 per cell]
N 0.0000 0.0000 0.7547 [3 per cell]



Record 4
The following is a DFT calculation (PBE) of a geometry-optimized ZrTaCN structure.

As for the formation enthalpy at 0 K: -1.14 eV/atom.

a b c (Å): 3.2146 3.2146 15.8973
angles (deg): 90.00 90.00 120.00
Space group R3m (No. 160, hexagonal axes)
Unique sites:
Zr 0.0000 0.0000 0.0000 [3 per cell]
Ta 0.0000 0.0000 0.5069 [3 per cell]
C 0.0000 0.0000 0.2479 [3 per cell]
N 0.0000 0.0000 0.7584 [3 per cell]
You consider the IRC activity though, right?
In actual fact, the checks are a lot more forgiving than us simply "cleaning away clans that aren't close to daily posting".
I do have personal experiance with this. Addicted was in a phase of apathy too and we had to go through activity checks
multiply times. People are posting when they feel like, sometimes every day, sometimes once a month. But like a sinus wave, we have still ups after every down.
Even though we have different opinions on this, you can still comprehend the point that, in [Addicted], there is quite much posting in the last time again.
You have no idea how the system works [...] making wild assumptions without reason [...] if you're going to make baseless criticism on a system you know nothing about at least try to contact me and make sure you at least have a shred of information [...]
You might take this a bit too personal, because it wasn't focused on you. There were no wild assumptions, just one point -> I don't understand why there have to be a job in this forum where 'activity checks' are made that often. If there is no post for a half year, clean it up. But seeing an activity check after like three weeks in a time where the semester just started, makes me sad.
In fact, the last posts before you went for the activity checks were just one day earlier to one week earlier. But still you see a need to do this check.
Furthermore you tell me to contact you and ask for your job and what you do to understand this? I see this thread and this discussion as a constructiv way to discuss this.
Baseless critism on a system I know nothing about? Shred information?
Man now this goes personal. I know the forum, because I'm here since 2008. The 'system' is your job, not mine. And I yet asked for an information. That was a big wave on that question, wasn't it?
To cut a long story short, GerU might have phases of apathy. But yet it's a nice subforum with nice people who do post from time to time.
So you do this job to find out if the clan is still above your (the clan mods) definition of activity, which seems to be that quite a few people post frequently into the clanforum AND into IRC.
Your job has significance, for shure. But I'm not going with your definition of a necessary termination. I saw this in [Addicted], were we were close to the terminition just for the fact, that like 5 members had to post within a week even though everybody was very busy.
GerU and Addicted have both participated over a long time in this community, workin on so many things in this community. And now it's considered to delete them even though there are members who still post and members who will come back in the future. You can't understand this oppression in any way?